API keys

Create API keys to grant permissions to the Rainforest API

An API key is a long-lived credential that authorizes servers to communicate with the Rainforest API. API keys will generally have broad permissions to access most resources. API keys should never be sent to the front-end, or otherwise transmitted to the user's browser.

Defining a statement

A statement consists of a set of permissions and constraints that defines what resources and actions this session can access.

What is a resource?

A resource is an object in the Rainforest API (e.g. payins, refunds, chargebacks, merchants, etc.).

Valid resources

api_keyAPI key
billing_profileBilling profile
deposit_methodDeposit method
deposit_method_configDeposit method config
device_registrationDevice registration
http_requestHTTP request
mccMerchant commerce code
merchant_applicationMerchant application
payin_configPayin config
payment_methodPayment method
payment_method_configPayment method config
plaid_linkPlaid link
routing_numberRouting number
threeds_attempt3DS attempt

What is an action?

An action is a specific operation on a resource in the Rainforest API.

Valid actions

createCreate a new resource (e.g, creating a payin_config or payin)
updateUpdate a resource (e.g. updating a merchant_application)
readRead a resource (e.g. reading a payin_config)
deleteDelete a resource (e.g. deleting a session)

What is a permission?

A permission is the combination of a resource and an action in the format resource:action, which determines a specific capability on the Rainforest API (e.g. payin:create).

Most API keys and sessions will include multiple permissions in order to facilitate more complex API interactions. While these can be enumerated explicitly, you can use a group.

What is a group?

A group is a collection of permissions. These groups are defined by Rainforest, and will define a collection of permissions needed to integrate with Rainforest Components.

Groups enable you to:

  • Simplify and better understand your permissions.
  • Allows Rainforest to introduce new features in the Rainforest Components and if they require new resources or actions, then your users will automatically be able to take advantage of them without you needing to update your integration code.

Valid groups

group#allGives full access to all actions on Rainforest resources.
group#ach_return_details_componentSee ACH return details.
group#chargeback_details_componentSee chargeback details.
group#deposit_details_componentSee details of a given deposit and open payin, refund, ACH return, and chargeback details.
group#deposit_details_component.create_refundCreate a refund on the payin details from within the deposit details component.
group#deposit_report_componentSee all deposits and deposit details, which includes payins, refunds, ACH return and chargeback details.
group#deposit_report_component.create_refundCreate a refund on the payin details from within the deposit report component.
group#merchant_onboarding_componentUpdate and submit a merchant application in the merchant onboarding component.
group#payin_details_componentSee payin details in the payin details component.
group#payin_details_component.create_refundCreate a refund in the payin details component.
group#payin_receipt_componentSee payin details in the payin receipt component.
group#payment_componentCreate a payin or payment method from the payment component.
group#payment_report_componentSee ACH return, chargeback, payin, and refund details within the payment report component.
group#payment_report_component.create_refundCreate a refund on the payin details page within the payment report component.
group#refund_details_componentSee payin and refund details within the refund details component.

What is a constraint?

A constraint restricts what actions are allowed based on the specific context of a resource. For example, constraints can be used to limit credentials to a specific merchant and might look like the following:

"merchant": {
	"merchant_id": "mid_123"

This will only allow the API key to perform actions on resources whose merchant has the merchant_id of mid_123. If a resource does not have a parent merchant (e.g. a platform, or a merchant itself), this will be skipped.

Any field returned by the API for a given resource Get by ID endpoint can be used in a constraint, including metadata.

What is a statement?

A statement is a set of permissions and constraints that must be met in order to complete the API interaction. An API key is composed of multiple statements. While most API keys will only need a single statement, if multiple statements are specified, only one statement needs to match for the action to be allowed. Statements are OR'd together.

Here is an example of creating an API key that is authorized to perform all actions on all resources, unless that resource has a parent merchant (e.g. payins, payin_configs, etc). If a parent merchant exists, it must match the provided constraint, meaning it must have a merchant_id of mid_123. If a parent merchant does not exist, the constraint will be ignored.

curl --location 'https://api.rainforestpay.com/v1/api_keys' \
--header 'Content-Type: application/json' \
--header 'Authorization: Bearer {{api_key}}' \
--data '{
    "ttl": 86400,
    "statements": [
            "permissions": ["group#all"],
            "constraints": {
                "merchant": {
                    "merchant_id": "mid_123"

Permissions can also be enumerated explicitly, with more complex constraints. The following is an example of an API key that is authorized to create, read, delete and update payins and nothing else. This constraint requires that the payin have an internal_id metadata key with 987654321 as the value.

curl --location 'https://api.rainforestpay.com/v1/api_keys' \
--header 'Content-Type: application/json' \
--header 'Authorization: Bearer {{api_key}}' \
--data '{
    "ttl": 86400,
    "statements": [
            "permissions": ["payin:create", "payin:read", "payin:delete", "payin:update"],
            "constraints": {
                "payin": {
                    "metadata": {
                        "internal_id": "987654321"

API key

Once you create an API key, the api_key will be enabled and ready for use.


Save the api_key

This is the only time you'll be able to access the api_key secret. Save it in a safe place. Going forward we will only return a masked_api_key.


curl --request POST \
--url 'https://api.rainforestpay.com/v1/api_keys' \
--header 'Authorization: Bearer {{api_key}}' \
--header 'Content-Type: application/json' \
--data-raw '{
  "platform_id": "plt_123",
  "statements": [
      "permissions": ["payin:read"],
      "constraints": {
        "merchant": {
          "merchant_id": "mid_123"
        "payin": {
          "metadata": {
            "account": {
              "id": "123"


    "status": "SUCCESS",
    "data": {
        "api_key_id": "api_2Xd2DgMjouViS2ciMlMvES8R4rb",
        "platform_id": "plt_123",
        "api_key": "apikey_1ad1c535b0c0093e7b9bf093d7e3444cd0e2ddefab36199216f555c3efa65d63",
        "statements": [
              "permissions": ["payin:read"],
               "constraints": {
                 "merchant": {
                   "merchant_id": "mid_123"
                 "payin": {
                   "metadata": {
                     "account": {
                       "id": "123"
        "status": "ENABLED",
        "created_at": "2024-01-01T12:00:00Z",
        "updated_at": "2024-01-01T12:00:00Z"
    "errors": null

**Between two parts of the piece: data records:**
-- begin --
Entry 1:
This entry pairs a crystal structure of W2O3F9 with its calculated X-ray powder pattern. Radiation: Cu Kα. Structure: a structure optimized by DFT (GGA+U).

Peak list (10 most intense, 2θ = 5–70°, by angle)
d [Å]	2θ/deg	I/Imax
5.276	16.8	43
5.147	17.2	100
3.950	22.5	48
3.877	22.9	99
3.783	23.5	45
3.749	23.7	24
2.801	31.9	22
2.733	32.8	20
1.744	52.5	17
1.722	53.2	15

Structure:
```
W2O3F9
1.0
5.5321 0.0000 0.0000
0.0000 5.4364 0.0000
-4.9801 0.0000 15.8001
W O F
4 6 18
Direct
0.1192 0.2252 0.3822 W
0.1192 0.7748 0.8822 W
0.8808 0.2252 0.1178 W
0.8808 0.7748 0.6178 W
0.2238 0.1258 0.4857 O
0.2238 0.8742 0.9857 O
0.5000 0.1017 0.7500 O
0.5000 0.8983 0.2500 O
0.7762 0.1258 0.0143 O
0.7762 0.8742 0.5143 O
0.0000 0.3254 0.2500 F
0.0000 0.6746 0.7500 F
0.0892 0.0574 0.6645 F
0.0892 0.9426 0.1645 F
0.1728 0.3982 0.1144 F
0.1728 0.6018 0.6144 F
0.3042 0.4787 0.8928 F
0.3042 0.5213 0.3928 F
0.3929 0.0630 0.3498 F
0.3929 0.9370 0.8498 F
0.6071 0.0630 0.1502 F
0.6071 0.9370 0.6502 F
0.6958 0.4787 0.6072 F
0.6958 0.5213 0.1072 F
0.8272 0.3982 0.3856 F
0.8272 0.6018 0.8856 F
0.9108 0.0574 0.8355 F
0.9108 0.9426 0.3355 F
```



Entry 2:
This entry pairs a crystal structure of W3O7F with its calculated X-ray powder pattern. Radiation: Cu Kα. Structure: a structure optimized by DFT (GGA+U).

Peak list (10 most intense, 2θ = 5–70°, by angle)
d [Å]	2θ/deg	I/Imax
3.868	23.0	100
3.217	27.7	60
3.187	28.0	88
2.473	36.3	40
2.460	36.5	58
1.934	47.0	20
1.851	49.2	25
1.670	55.0	26
1.657	55.4	25
1.653	55.6	26

Structure:
```
W3O7F
1.0
3.2168 -5.5023 0.0000
3.2168 5.5023 0.0000
0.0000 0.0000 3.8682
W O F
3 7 1
Direct
0.0000 0.0000 0.0000 W
0.3041 0.6959 0.0000 W
0.6959 0.3041 0.0000 W
0.0000 0.0000 0.5000 O
0.0406 0.3369 0.0000 O
0.3087 0.6913 0.5000 O
0.3369 0.0406 0.0000 O
0.6631 0.9594 0.0000 O
0.6913 0.3087 0.5000 O
0.9594 0.6631 0.0000 O
0.5000 0.5000 0.0000 F
```



Entry 3:
This entry pairs a crystal structure of WO2F2 with its calculated X-ray powder pattern. Radiation: Cu Kα. Structure: a structure optimized by DFT (GGA+U).

Peak list (10 most intense, 2θ = 5–70°, by angle)
d [Å]	2θ/deg	I/Imax
4.971	17.8	52
3.609	24.7	100
2.739	32.7	21
2.518	35.7	21
2.486	36.1	12
2.399	37.5	11
1.937	46.9	12
1.805	50.6	10
1.769	51.7	16
1.706	53.7	19

Structure:
```
WO2F2
1.0
2.7376 -2.7405 0.0000
2.7376 2.7405 0.0000
0.0000 0.0000 9.9429
W O F
2 4 4
Direct
0.2087 0.7913 0.7500 W
0.7913 0.2087 0.2500 W
0.2357 0.2648 0.7500 O
0.2648 0.2357 0.2500 O
0.7352 0.7643 0.7500 O
0.7643 0.7352 0.2500 O
0.2493 0.7507 0.5608 F
0.2493 0.7507 0.9392 F
0.7507 0.2493 0.0608 F
0.7507 0.2493 0.4392 F
```



Entry 4:
This entry pairs a crystal structure of WOF4 with its calculated X-ray powder pattern. Radiation: Cu Kα. Structure: a structure optimized by DFT (GGA+U).

Peak list (10 most intense, 2θ = 5–70°, by angle)
d [Å]	2θ/deg	I/Imax
5.004	17.7	100
3.538	25.2	36
3.424	26.0	80
2.460	36.5	32
2.238	40.3	28
2.020	44.9	14
1.822	50.1	13
1.754	52.1	18
1.572	58.7	17
1.473	63.1	14

Structure:
```
-- stop --

Manage API keys

API keys can be disabled, enabled, or permanently deleted through the API or the Rainforest Platform Portal.